My Daily Routine as a Freelance Writer

Several readers have asked about my daily writing routine, so today, I wanted to share it with you.
Now, keep in mind that just because this routine works for me, it doesn’t mean it’s going to for you.
Sometimes I see these types of posts and it gives off the impression you have to mirror another person’s routine to achieve the same results. Not so.

Feel free to steal some of my tactics and approaches, but by NO MEANS do you have to do what I do to be a productive writer.
Whew, glad we cleared that up. Now, let’s get to it.
7:30-8:15 am: News and coffee
After my Fitbit alarm goes off around 7:30 and I make it out of bed, I usually start the day by taking care of the pets and then stumbling around the kitchen still half-asleep to fix some coffee and a small breakfast (usually biscotti or a piece of toast.)
Then I turn on CBS News and get caught up on what’s happening in the world for 10-15 minutes while I eat, wake up, and check email on my phone.

8:15-8:45 am: To-do list and email
Now that I’m awake, I go into the office and check out my whiteboard and wall calendar to see what all I need to do today. I make a fresh list at the end of every day so I don’t forget anything important. From there, I make another list in my steno notebook (on my desk) that’s prioritized based on what I need to accomplish and in what order. I LOVE LISTS.
(More on some of my office tools here.)
Then I plop down at my desk and start responding to emails first. There’s usually not a ton of catching up to do because most of my client work is laid out in advance on a content calendar (most use CoSchedule). For my coaching/mentoring work, I only work with 1-2 people at a time, so the workload is very manageable and focused.

After that’s done, I focus in for my first writing sprint of the day. Most of the time I’m writing blog content for a client.
If I’m writing a new post, I always start with an outline. Most of the companies I work with are into long-form content right now (1,000+ words), so most weeks my average word count is high. Here’s how I structure long-form content.
As I write, I use my own version of the Pomodoro Technique, which means I write in uninterrupted sprints of 15-20 minutes at a time with a 3-5 minute break between each sprint. During breaks, I usually check in on Twitter as it’s basically my virtual office water cooler.
I’m totally distracted by music/TV, so the house is completely silent for most of the workday--which is both eerie and somber but very much work-conducive for me.
When I’m writing, I sit (I use a Herman Miller Aeron chair) and a large Mac monitor with split screens so I can see the doc I’m working on (in Google Docs) as well as whatever research I’m referencing on the other side.


10:00: Walk
Around 10:00 each day I take Brooks (dog) for a mile to two-mile walk, unless it’s too hot out or raining. I live in the Midwest, so it’s right around the 90-degree mark right now and verrrry humid.
BUT, it’s good exercise for both of us and keeps me from getting too stiff from sitting for extended periods. Sometimes I take a podcast to listen to, or sometimes I use this time to think over a piece I’m writing about.
10:30 am- 12:00 pm: Writing time
After our walk, my mind is clear and I can really focus on diving back into writing or researching. For about 90 minutes (this time with far fewer breaks), I’ll work on fleshing out an in-depth blog post, sourcing images, finding examples to reference, and looking at data I can leverage to make the post a worthwhile read.
I write pretty efficiently during this period, and can typically knock out about 40-50% of a post in a single sitting (pending no disruptions.)
12:00-12:30 pm: Lunch
I don’t take a long lunch break because by this time I’m in the zone with work and want to get back to it. Today I had a gluten free bagel sandwich, grapes, and green tea. (Loving matcha right now.)
During the summer I like to eat out on our front porch in the shade and get some fresh air. It’s a good way to let my brain rest and recharge before jumping back in. If I'm not outside, I usually turn on an episode of The Office or Gilmore Girls that I’ve already seen 1,352 times.


12:30-2:30 pm: More writing
More sprints, more writing. I’m super productive during this stretch, fueled by a full stomach and caffeine. If I hit a writing rut, I either take steps to fix it or decide to move on to something else.
2:30 pm: Walk #2 or outdoor playtime
By this time Brooks is bored, so I either take him for another walk or out back to chase tennis balls in the yard. He could do this all day. I cannot.
3:00-4:15 pm: Work + wrap up
After we come back in, I find a good stopping place and wrap up whatever I was last working on. Then I start wrapping up the day by answering emails, occasionally setting up podcast guest interviews (for myself, I don’t have a podcast), and hopping into some forums to chat.
About this time I switch from sitting to standing (thanks convertible desk) since I don’t need intense focus for this type of work.

I usually check out r/freelancewriters on Reddit,, and the Copywriter Club group on Facebook. These are great places to learn, talk to fellow writers, and to keep tabs on what’s happening within my niche. Also more Twitter.
I think to myself: IT’S SO QUIET IN HERE. Have I said a word out loud today? No. No I haven’t.
I’ll finally turn on some music to break the silence. Today it’s the new HAIM album on Spotify. Now I’m working and dancing.

These records of crystals were left in the article by mistake >
- - -
The following is a computed powder diffractogram of KSrPrSbO6. It was derived from a crystal structure in the Materials Project, relaxed with GGA-PBE, using Cu Kα (λ = 1.5418 Å).
Kinematic intensities with the Lorentz-polarization factor, no thermal factor.

Atomic structure:
```
KSrPrSbO6
1.0
0.0000 4.3311 4.3311
4.3311 0.0000 4.3311
4.3311 4.3311 0.0000
K Sr Pr Sb O
1 1 1 1 6
Direct
0.0000 0.0000 0.0000
0.5000 0.5000 0.5000
0.7500 0.7500 0.7500
0.2500 0.2500 0.2500
0.0193 0.0193 0.4807
0.0193 0.4807 0.0193
0.0193 0.4807 0.4807
0.4807 0.0193 0.0193
0.4807 0.0193 0.4807
0.4807 0.4807 0.0193
```

The 12 most intense peaks (2θ = 15–90°), in order of rising 2θ:
d/Å  I_rel
5.001  4
4.331  27
3.063  100
2.612  3
2.166  34
1.937  11
1.768  40
1.531  20
1.444  5
1.370  18
1.250  7
1.158  21

***

The following is a computed powder diffractogram of Hf4UC5. It was derived from a crystal structure in the Materials Project, relaxed with GGA-PBE, using Cu Kα (λ = 1.5418 Å).
Kinematic intensities with the Lorentz-polarization factor, no thermal factor.

Atomic structure:
```
Hf4UC5
1.0
1.6559 0.9561 13.6702
-1.6559 0.9561 13.6702
0.0000 -1.9121 13.6702
Hf U C
4 1 5
Direct
0.0962 0.0962 0.0962
0.3013 0.3013 0.3013
0.6987 0.6987 0.6987
0.9038 0.9038 0.9038
0.5000 0.5000 0.5000
0.0000 0.0000 0.0000
0.2027 0.2027 0.2027
0.3985 0.3985 0.3985
0.6015 0.6015 0.6015
0.7973 0.7973 0.7973
```

The 12 most intense peaks (2θ = 15–90°), in order of rising 2θ:
d/Å  I_rel
3.418  2
2.734  33
2.707  100
2.350  83
1.668  27
1.656  29
1.424  13
1.416  28
1.413  14
1.367  4
1.354  15
1.175  9
- - -
Here the article continues >

4:15 pm: Yoga
Around 4:15 I roll out the yoga mat and do about 15-20 minutes of stretches. For a while I was following videos, but now I just do my own thing to music. Last winter I got pretty sedentary and was SO STIFF all the time. My back hurt, I was miserable, it sucked. Hence making this a priority.
4:35: Last check
I do one final sweep of my email, make my to-do list for tomorrow, and end the day.
That’s it!
Now I wanna hear what your writing routine is like. If you have a post like this one, send it my way. I love reading these.

This article originally appeared in my newsletter, A Cup of Copy. Sign up and get these free tips sent right to your inbox every other Wednesday.